(Entries)
........
Version A
C6H12S | ωB97M-V with the def2-TZVPD basis set

Each line ends with the Löwdin charge.
Cartesian coordinates (Å):
C (-0.406, 1.607, -1.763)  -0.45
C (0.742, 0.855, -1.265)  -0.44
C (-1.477, -0.616, 0.386)  -0.06
C (0.499, 0.475, 1.780)  -0.05
C (0.933, -1.544, 0.282)  -0.12
C (0.018, -0.416, 0.610)  -0.33
S (-0.045, 0.062, -2.648)  0.77
H (-1.307, 1.431, -1.347)  -0.02
H (-0.306, 2.473, -2.343)  0.05
H (1.719, 1.253, -1.248)  0.05
H (-1.964, 0.220, -0.165)  0.08
H (-2.020, -0.748, 1.290)  0.08
H (-1.654, -1.384, -0.267)  0.04
H (1.375, 1.040, 1.554)  0.07
H (-0.314, 0.943, 2.169)  0.04
H (0.869, -0.122, 2.573)  0.06
H (0.633, -1.823, -0.762)  0.06
H (0.760, -2.456, 0.911)  0.10
H (1.944, -1.248, 0.254)  0.06

## Properties
* LUMO: 0.8699 eV
* orbital gap: 8.337 eV

---

Version B
C6H12S | ωB97M-V with the def2-TZVPD basis set

Each line ends with the Löwdin charge.
Cartesian coordinates (Å):
C (1.394, 1.854, 0.355)  -0.02
C (1.407, 0.563, 0.658)  -0.22
C (1.654, -0.550, -0.353)  -0.18
C (0.344, -1.437, -0.340)  -0.28
C (-0.843, -1.024, -1.114)  -0.46
S (-1.565, 0.673, -0.820)  0.78
C (-2.137, 0.701, 0.814)  -0.46
H (1.164, 2.559, 1.086)  0.04
H (1.695, 2.168, -0.607)  0.05
H (0.838, 0.294, 1.542)  0.09
H (1.857, -0.046, -1.337)  0.12
H (2.528, -1.155, -0.034)  0.11
H (0.674, -2.322, -0.820)  0.09
H (0.089, -1.609, 0.719)  0.11
H (-0.650, -1.103, -2.224)  0.10
H (-1.589, -1.658, -0.819)  0.03
H (-1.835, 1.623, 1.212)  0.01
H (-3.307, 0.529, 0.723)  0.08
H (-1.717, -0.058, 1.359)  -0.01

## Properties
* LUMO: 0.9937 eV
* structure (SMILES): C=CCCCSC
* orbital gap: 8.933 eV

---

Version C
C6H12S | ωB97M-V with the def2-TZVPD basis set

Each line ends with the Löwdin charge.
Cartesian coordinates (Å):
C (1.410, 0.219, 0.175)  -0.38
C (0.706, -0.220, -2.618)  -0.29
C (0.713, 0.363, 1.469)  -0.35
C (-0.428, 1.409, 1.342)  -0.29
C (-1.566, 0.753, 0.605)  -0.06
C (-0.267, -1.943, -0.492)  -0.22
S (0.199, -0.253, -0.992)  0.93
H (1.855, 1.208, -0.355)  0.11
H (0.162, -0.674, -3.407)  -0.01
H (0.814, 0.715, -2.964)  -0.06
H (0.363, -0.568, 1.650)  0.04
H (1.532, 0.602, 2.123)  0.11
H (-0.523, 1.744, 2.457)  0.14
H (0.106, 2.274, 0.965)  0.09
H (-1.975, -0.189, 1.154)  0.09
H (-2.188, 1.348, 0.062)  0.00
H (0.667, -2.652, -0.352)  0.12
H (-0.670, -1.855, 0.473)  0.00
H (-0.909, -2.280, -1.294)  0.05

## Properties
* LUMO (alpha / beta): 0.0513 / -0.3641 eV
* orbital gap (alpha / beta): 7.242 / 6.688 eV

---

Name the least stable of them. version C.

---

Version A
C3H6FNS | ωB97M-V with the def2-TZVPD basis set

Each line ends with the Löwdin charge.
Cartesian coordinates (Å):
C (0.581, -0.089, 0.262)  -0.26
C (-0.638, -0.675, 1.024)  -0.74
C (0.216, -0.143, -2.124)  -0.07
N (0.208, 0.534, -0.974)  0.04
F (1.114, -1.107, -2.279)  0.10
S (-1.531, -1.935, 0.112)  0.29
H (1.060, 0.657, 0.899)  0.12
H (1.282, -0.895, 0.045)  0.11
H (-0.243, -1.129, 1.933)  0.05
H (-1.330, 0.127, 1.294)  0.04
H (-0.297, 0.156, -3.018)  0.14
H (-0.512, 1.241, -0.896)  0.16

## Properties
* LUMO (alpha / beta): -0.8388 / -0.8642 eV
* orbital gap (alpha / beta): 6.009 / 5.979 eV

---

Version B
C3H6FNS | ωB97M-V with the def2-TZVPD basis set

Each line ends with the Löwdin charge.
Cartesian coordinates (Å):
C (1.383, 0.807, -0.284)  -0.04
C (0.831, -0.424, 0.399)  -0.39
C (-0.437, -0.704, -0.136)  -0.32
H (0.550, 1.610, -0.174)  0.13
H (2.331, 1.049, 0.188)  0.07
H (1.738, 0.536, -1.292)  0.09
H (0.590, -0.247, 1.458)  0.15
H (-0.587, -1.236, -1.163)  0.16
H (-3.512, 0.939, 0.640)  0.03
N (-1.431, -0.217, 0.524)  -0.36
F (1.619, -1.573, -0.006)  -0.05
S (-3.075, -0.541, -0.153)  0.53

## Properties
* LUMO: -0.1090 eV
* orbital gap: 9.041 eV

---

Version C
C3H6FNS | ωB97M-V with the def2-TZVPD basis set

Each line ends with the Löwdin charge.
Cartesian coordinates (Å):
C (1.245, 0.851, -0.263)  -0.06
C (0.925, -0.493, 0.352)  -0.41
F (1.802, -1.425, -0.107)  0.01
C (-0.477, -0.723, -0.064)  -0.32
N (-1.423, -0.051, 0.375)  -0.35
........

(Job)
What is needed: filter the lines further up: keep the lines with the word "C3H6FNS".

(Solution)
C3H6FNS | ωB97M-V with the def2-TZVPD basis set
C3H6FNS | ωB97M-V with the def2-TZVPD basis set
C3H6FNS | ωB97M-V with the def2-TZVPD basis set